(Source)
........
The following is a DFT calculation (ωB97M-V/def2-TZVPD) of C44H35N2O7P2Tm as an isolated structure.

gap between HOMO and LUMO (spin up / spin down) = 7.307 / 7.357 eV
⟨S²⟩ = 2.0023
net charge = +2
spin multiplicity = 3

```
91
Properties=species:S:1:pos:R:3:mulliken_spin:R:1
Tm -1.089 -0.374 -1.164 2.0451
P 1.794 -0.618 -1.711 -0.0033
C 0.413 -0.208 0.532 -0.0242
O 1.133 -0.012 1.430 0.0014
P -1.970 -1.327 1.316 -0.0116
C 3.025 0.708 -1.448 -0.0004
C 1.299 -0.316 -3.436 -0.0006
C 2.845 -2.118 -1.816 0.0008
C -1.789 -2.701 2.509 -0.0003
C -2.511 0.097 2.325 0.0016
C -3.502 -1.742 0.411 -0.0004
C 4.362 0.465 -1.080 0.0001
C 5.214 1.530 -0.758 -0.0001
C 4.753 2.846 -0.819 0.0001
C 3.451 3.100 -1.261 -0.0001
C 2.606 2.043 -1.595 -0.0005
H 4.745 -0.552 -1.057 0.0000
H 6.240 1.325 -0.450 0.0000
H 5.400 3.678 -0.533 0.0000
H 3.091 4.127 -1.360 0.0000
H 1.609 2.265 -1.987 0.0007
C 3.357 -2.682 -0.629 -0.0001
C 4.079 -3.879 -0.655 -0.0001
C 4.342 -4.518 -1.872 0.0001
C 3.899 -3.931 -3.061 -0.0001
C 3.156 -2.745 -3.037 0.0004
H 3.173 -2.186 0.324 0.0000
H 4.423 -4.320 0.280 0.0000
H 4.884 -5.459 -1.891 0.0000
H 4.130 -4.399 -4.019 0.0000
H 2.832 -2.292 -3.975 0.0000
C 2.107 0.401 -4.332 0.0001
C 1.620 0.705 -5.609 -0.0004
C 0.352 0.262 -5.995 0.0004
C -0.412 -0.522 -5.137 0.0002
C 0.054 -0.851 -3.862 0.0036
H 3.108 0.730 -4.040 -0.0001
H 2.233 1.298 -6.286 0.0000
H -0.025 0.521 -6.984 0.0000
H -1.384 -0.907 -5.454 -0.0001
H -0.500 -1.596 -3.243 -0.0019
C -3.423 1.041 1.817 -0.0003
C -3.708 2.189 2.538 -0.0001
C -3.080 2.436 3.756 -0.0002
C -2.180 1.498 4.266 0.0001
C -1.928 0.314 3.578 -0.0002
H -3.939 0.845 0.873 0.0001
H -4.435 2.907 2.134 0.0000
H -3.289 3.345 4.326 0.0000
H -1.708 1.667 5.234 0.0000
H -1.277 -0.456 4.003 -0.0001
C -0.506 -3.047 2.987 -0.0012
C -0.334 -4.136 3.838 0.0000
C -1.445 -4.871 4.266 0.0000
C -2.730 -4.496 3.847 0.0000
C -2.897 -3.427 2.967 0.0007
H 0.370 -2.474 2.671 -0.0001
H 0.674 -4.422 4.160 0.0000
H -1.319 -5.725 4.923 0.0000
H -3.606 -5.032 4.204 0.0000
H -3.903 -3.164 2.647 0.0000
C -4.771 -1.630 1.003 0.0013
C -5.923 -1.827 0.235 -0.0005
C -5.798 -2.117 -1.128 0.0002
C -4.544 -2.301 -1.703 -0.0003
C -3.383 -2.177 -0.937 0.0051
H -4.872 -1.378 2.061 -0.0001
H -6.904 -1.733 0.707 0.0000
H -6.699 -2.216 -1.724 0.0000
H -4.452 -2.565 -2.758 -0.0001
H -2.410 -2.496 -1.374 -0.0036
H 1.668 -3.845 0.969 0.0000
H 1.162 -4.375 0.817 0.0000
O -1.475 3.273 -2.143 0.0002
C -1.249 2.792 -1.040 0.0001
O -1.481 1.541 -0.674 -0.0117
C -0.550 3.604 0.026 0.0011
C 0.003 4.824 -0.370 -0.0002
C 0.797 5.558 0.517 0.0000
C 0.836 5.235 1.874 0.0000
C 0.311 4.015 2.269 0.0000
C -0.392 3.205 1.369 0.0001
N 0.552 3.524 3.616 0.0000
O 0.995 4.316 4.469 0.0000
O 0.329 2.316 3.857 0.0000
N 1.717 6.534 -0.007 0.0000
O 1.872 6.574 -1.255 0.0000
O 2.320 7.259 0.800 0.0000
H -0.190 5.151 -1.387 0.0001
H 1.406 5.838 2.560 0.0000
H -0.762 2.261 1.739 -0.0004
```


The following is a DFT calculation (ωB97M-V/def2-TZVPD) of C44H36AsN4O2PPd as an isolated structure.

gap between HOMO and LUMO = 7.049 eV

```
89
Properties=species:S:1:pos:R:3:lowdin_charge:R:1
Pd -0.677 0.149 -3.205 0.9872
O -4.399 1.392 -2.202 0.0372
C -3.241 1.208 -2.568 -0.4723
N -2.579 0.066 -2.783 -0.0393
C -3.057 -1.252 -2.635 -0.2020
C -4.336 -1.594 -2.225 -0.0155
C -4.677 -2.940 -2.111 -0.0935
C -3.753 -3.931 -2.405 -0.0939
C -2.465 -3.600 -2.817 -0.0198
C -2.115 -2.264 -2.933 -0.2107
N -0.837 -1.793 -3.304 -0.0416
C 0.233 -2.519 -3.646 -0.4953
O 0.348 -3.735 -3.782 0.0368
C 1.455 -1.630 -3.835 -0.1677
C 2.696 -2.205 -4.039 0.0133
C 3.803 -1.382 -4.147 -0.0338
C 3.632 -0.005 -4.062 -0.0446
C 2.359 0.497 -3.858 -0.1272
N 1.293 -0.293 -3.738 -0.0009
C -2.355 2.419 -2.851 -0.1682
C -2.878 3.693 -2.729 0.0105
C -2.071 4.778 -3.030 -0.0391
C -0.763 4.554 -3.437 -0.0505
C -0.306 3.250 -3.522 -0.1163
N -1.078 2.205 -3.239 -0.0033
H -5.045 -0.812 -1.998 0.0975
H -5.675 -3.207 -1.791 0.0976
H -4.028 -4.974 -2.314 0.0973
H -1.738 -4.359 -3.063 0.0983
........

(Assignment)
Start at the top of the rows further above and copy each line, ending with the one that has "-1.738 -4.359", please.

(Outcome)
The following is a DFT calculation (ωB97M-V/def2-TZVPD) of C44H35N2O7P2Tm as an isolated structure.

gap between HOMO and LUMO (spin up / spin down) = 7.307 / 7.357 eV
⟨S²⟩ = 2.0023
net charge = +2
spin multiplicity = 3

```
91
Properties=species:S:1:pos:R:3:mulliken_spin:R:1
Tm -1.089 -0.374 -1.164 2.0451
P 1.794 -0.618 -1.711 -0.0033
C 0.413 -0.208 0.532 -0.0242
O 1.133 -0.012 1.430 0.0014
P -1.970 -1.327 1.316 -0.0116
C 3.025 0.708 -1.448 -0.0004
C 1.299 -0.316 -3.436 -0.0006
C 2.845 -2.118 -1.816 0.0008
C -1.789 -2.701 2.509 -0.0003
C -2.511 0.097 2.325 0.0016
C -3.502 -1.742 0.411 -0.0004
C 4.362 0.465 -1.080 0.0001
C 5.214 1.530 -0.758 -0.0001
C 4.753 2.846 -0.819 0.0001
C 3.451 3.100 -1.261 -0.0001
C 2.606 2.043 -1.595 -0.0005
H 4.745 -0.552 -1.057 0.0000
H 6.240 1.325 -0.450 0.0000
H 5.400 3.678 -0.533 0.0000
H 3.091 4.127 -1.360 0.0000
H 1.609 2.265 -1.987 0.0007
C 3.357 -2.682 -0.629 -0.0001
C 4.079 -3.879 -0.655 -0.0001
C 4.342 -4.518 -1.872 0.0001
C 3.899 -3.931 -3.061 -0.0001
C 3.156 -2.745 -3.037 0.0004
H 3.173 -2.186 0.324 0.0000
H 4.423 -4.320 0.280 0.0000
H 4.884 -5.459 -1.891 0.0000
H 4.130 -4.399 -4.019 0.0000
H 2.832 -2.292 -3.975 0.0000
C 2.107 0.401 -4.332 0.0001
C 1.620 0.705 -5.609 -0.0004
C 0.352 0.262 -5.995 0.0004
C -0.412 -0.522 -5.137 0.0002
C 0.054 -0.851 -3.862 0.0036
H 3.108 0.730 -4.040 -0.0001
H 2.233 1.298 -6.286 0.0000
H -0.025 0.521 -6.984 0.0000
H -1.384 -0.907 -5.454 -0.0001
H -0.500 -1.596 -3.243 -0.0019
C -3.423 1.041 1.817 -0.0003
C -3.708 2.189 2.538 -0.0001
C -3.080 2.436 3.756 -0.0002
C -2.180 1.498 4.266 0.0001
C -1.928 0.314 3.578 -0.0002
H -3.939 0.845 0.873 0.0001
H -4.435 2.907 2.134 0.0000
H -3.289 3.345 4.326 0.0000
H -1.708 1.667 5.234 0.0000
H -1.277 -0.456 4.003 -0.0001
C -0.506 -3.047 2.987 -0.0012
C -0.334 -4.136 3.838 0.0000
C -1.445 -4.871 4.266 0.0000
C -2.730 -4.496 3.847 0.0000
C -2.897 -3.427 2.967 0.0007
H 0.370 -2.474 2.671 -0.0001
H 0.674 -4.422 4.160 0.0000
H -1.319 -5.725 4.923 0.0000
H -3.606 -5.032 4.204 0.0000
H -3.903 -3.164 2.647 0.0000
C -4.771 -1.630 1.003 0.0013
C -5.923 -1.827 0.235 -0.0005
C -5.798 -2.117 -1.128 0.0002
C -4.544 -2.301 -1.703 -0.0003
C -3.383 -2.177 -0.937 0.0051
H -4.872 -1.378 2.061 -0.0001
H -6.904 -1.733 0.707 0.0000
H -6.699 -2.216 -1.724 0.0000
H -4.452 -2.565 -2.758 -0.0001
H -2.410 -2.496 -1.374 -0.0036
H 1.668 -3.845 0.969 0.0000
H 1.162 -4.375 0.817 0.0000
O -1.475 3.273 -2.143 0.0002
C -1.249 2.792 -1.040 0.0001
O -1.481 1.541 -0.674 -0.0117
C -0.550 3.604 0.026 0.0011
C 0.003 4.824 -0.370 -0.0002
C 0.797 5.558 0.517 0.0000
C 0.836 5.235 1.874 0.0000
C 0.311 4.015 2.269 0.0000
C -0.392 3.205 1.369 0.0001
N 0.552 3.524 3.616 0.0000
O 0.995 4.316 4.469 0.0000
O 0.329 2.316 3.857 0.0000
N 1.717 6.534 -0.007 0.0000
O 1.872 6.574 -1.255 0.0000
O 2.320 7.259 0.800 0.0000
H -0.190 5.151 -1.387 0.0001
H 1.406 5.838 2.560 0.0000
H -0.762 2.261 1.739 -0.0004
```


The following is a DFT calculation (ωB97M-V/def2-TZVPD) of C44H36AsN4O2PPd as an isolated structure.

gap between HOMO and LUMO = 7.049 eV

```
89
Properties=species:S:1:pos:R:3:lowdin_charge:R:1
Pd -0.677 0.149 -3.205 0.9872
O -4.399 1.392 -2.202 0.0372
C -3.241 1.208 -2.568 -0.4723
N -2.579 0.066 -2.783 -0.0393
C -3.057 -1.252 -2.635 -0.2020
C -4.336 -1.594 -2.225 -0.0155
C -4.677 -2.940 -2.111 -0.0935
C -3.753 -3.931 -2.405 -0.0939
C -2.465 -3.600 -2.817 -0.0198
C -2.115 -2.264 -2.933 -0.2107
N -0.837 -1.793 -3.304 -0.0416
C 0.233 -2.519 -3.646 -0.4953
O 0.348 -3.735 -3.782 0.0368
C 1.455 -1.630 -3.835 -0.1677
C 2.696 -2.205 -4.039 0.0133
C 3.803 -1.382 -4.147 -0.0338
C 3.632 -0.005 -4.062 -0.0446
C 2.359 0.497 -3.858 -0.1272
N 1.293 -0.293 -3.738 -0.0009
C -2.355 2.419 -2.851 -0.1682
C -2.878 3.693 -2.729 0.0105
C -2.071 4.778 -3.030 -0.0391
C -0.763 4.554 -3.437 -0.0505
C -0.306 3.250 -3.522 -0.1163
N -1.078 2.205 -3.239 -0.0033
H -5.045 -0.812 -1.998 0.0975
H -5.675 -3.207 -1.791 0.0976
H -4.028 -4.974 -2.314 0.0973
H -1.738 -4.359 -3.063 0.0983